
We are committed to responsible and safe travels while we remain vigilant and follow security protocols and procedures


The personal data and images obtained through the entry questionnaires, photographs, records or access logs to our facilities (hereinafter and jointly the "Personal Data"), are processed by Talokan México AC (hereinafter "TALOKAN" ), residing at Piso 26 no. 9- Ave. Juarez no. 2925 Col La Paz, CP. 72160; with the following primary purposes:

- Provide you with accurate information about experiences.
- Accompany you in your purchase process.
- Design new experiences according to the expressed interests.
- Expand surveillance and security strategies during your visit to our facilities.
- Third person contact in case of emergency or specific query.

• Here the entry breaks off for calculated crystals:
'''
Material: Ce3CuSiS7
Method: DFT, GGA-PBE
State: relaxed

a = 10.208 Å, b = 10.208 Å, c = 5.782 Å
α = 90.00°, β = 90.00°, γ = 120.00°
Sites, in units of the cell vectors:
Ce 0.124 0.768 0.000
Ce 0.232 0.356 0.000
Ce 0.356 0.124 0.500
Ce 0.644 0.876 0.000
Ce 0.768 0.644 0.500
Ce 0.876 0.232 0.500
Cu 0.000 0.000 0.023
Cu 0.000 0.000 0.523
Si 0.333 0.667 0.414
Si 0.667 0.333 0.914
S 0.086 0.836 0.512
S 0.112 0.524 0.272
S 0.164 0.250 0.512
S 0.250 0.086 0.012
S 0.333 0.667 0.779
S 0.412 0.888 0.272
S 0.476 0.588 0.272
S 0.524 0.412 0.772
S 0.588 0.112 0.772
S 0.667 0.333 0.279
S 0.750 0.914 0.512
S 0.836 0.750 0.012
S 0.888 0.476 0.772
S 0.914 0.164 0.012

Total moment in μB per formula unit: 2.99
Volume in A^3/atom: 21.7
Energy of formation in eV per atom: -1.8072
Total energy after the MP2020 corrections in eV/atom: -6.50
Total energy in eV/atom: -6.20

=====

Material: Sr2PrSnO6
Method: DFT, GGA-PBE
State: relaxed

a = 8.633 Å, b = 8.633 Å, c = 8.633 Å
α = 90.00°, β = 90.00°, γ = 90.00°
Sites, in units of the cell vectors:
Sr 0.250 0.250 0.250
Sr 0.250 0.250 0.750
Sr 0.250 0.750 0.250
Sr 0.250 0.750 0.750
Sr 0.750 0.250 0.250
Sr 0.750 0.250 0.750
Sr 0.750 0.750 0.250
Sr 0.750 0.750 0.750
Pr 0.000 0.000 0.000
Pr 0.000 0.500 0.500
Pr 0.500 0.000 0.500
Pr 0.500 0.500 0.000
Sn 0.000 0.000 0.500
Sn 0.000 0.500 0.000
Sn 0.500 0.000 0.000
Sn 0.500 0.500 0.500
O 0.038 0.546 0.766
O 0.038 0.954 0.734
O 0.046 0.234 0.538
O 0.046 0.266 0.962
O 0.234 0.538 0.046
O 0.234 0.962 0.454
O 0.266 0.538 0.454
O 0.266 0.962 0.046
O 0.454 0.234 0.962
O 0.454 0.266 0.538
O 0.462 0.546 0.734
O 0.462 0.954 0.766
O 0.538 0.046 0.234
O 0.538 0.454 0.266
O 0.546 0.734 0.462
O 0.546 0.766 0.038
O 0.734 0.038 0.954
O 0.734 0.462 0.546
O 0.766 0.038 0.546
O 0.766 0.462 0.954
O 0.954 0.734 0.038
O 0.954 0.766 0.462
O 0.962 0.046 0.266
O 0.962 0.454 0.234

Total moment in μB per formula unit: 1.00
Volume in A^3/atom: 16.1
Energy of formation in eV per atom: -2.7922
Total energy after the MP2020 corrections in eV/atom: -6.98
Total energy in eV/atom: -6.57
Energy relative to the lowest polymorph listed for this composition in meV per atom: 0.0

=====

Material: CrPd
Method: DFT, GGA-PBE
State: relaxed

a = 4.647 Å, b = 4.647 Å, c = 4.647 Å
α = 33.50°, β = 33.50°, γ = 33.50°
Sites, in units of the cell vectors:
Cr 0.000 0.000 0.000
Pd 0.500 0.500 0.500

Total moment in μB per formula unit: 0.81
Volume in A^3/atom: 13.6
Energy of formation in eV per atom: 0.2640
Total energy in eV/atom: -7.15

=====

Material: LiDy2Tc
Method: DFT, GGA-PBE
State: relaxed

a = 4.930 Å, b = 4.930 Å, c = 4.930 Å
α = 60.00°, β = 60.00°, γ = 60.00°
Sites, in units of the cell vectors:
Li 0.000 0.000 0.000
Dy 0.250 0.250 0.250
Dy 0.750 0.750 0.750
Tc 0.500 0.500 0.500

Total moment in μB per formula unit: 0.00
Volume in A^3/atom: 21.2
Energy of formation in eV per atom: -0.0371
Total energy in eV/atom: -5.41

=====

Material: RbHfMg14
Method: DFT, GGA-PBE
State: relaxed
'''
• Back to the entry:

I. DATA AND ITS PURPOSE FOR THE CENTER: Based on the above, we ask you to provide us with the following personal data at different stages of your process: full name, INE or passport, nationality, state and country of residence, sex, date of birth, e-mail, telephone, social network information, at least one contact person, allergies, illnesses or injuries in case of suffering from them. The Personal Data collected by Talokan, will be protected and managed in terms of the provisions of the Federal Law on Protection of Personal Data Held by Private Parties, its Regulations and the Guidelines of the Privacy Notice (hereinafter and jointly "the Legislation") In this sense, we are committed to safeguarding your Personal Data under the principles of loyalty and responsibility. The Personal Data obtained is protected by security, physical, technological and administrative measures, attached to regulations that seek to safeguard said Personal Data in terms of the provisions of the Legislation.

Misplaced materials data =
'''
1.
{
  "formula": "NaLi2MnPCO7",
  "functional": "PBE with a Hubbard U",
  "state": "relaxed",
  "crystal_system": "triclinic",
  "sg": "P1 (1)",
  "formation_enthalpy_0k_ev_per_atom": -2.3832,
  "e_above_lowest_polymorph_mev_per_atom": 27,
  "magnetic_moment_mub_per_fu": 5.00,
  "lattice": [[6.663, 0.000, 0.000], [0.007, 8.721, 0.000], [0.004, 0.152, 10.069]],
  "species": ["Na", "Na", "Na", "Na", "Li", "Li", "Li", "Li", "Li", "Li", "Li", "Li", "Mn", "Mn", "Mn", "Mn", "P", "P", "P", "P", "C", "C", "C", "C", "O", "O", "O", "O", "O", "O", "O", "O", "O", "O", "O", "O", "O", "O", "O", "O", "O", "O", "O", "O", "O", "O", "O", "O", "O", "O", "O", "O"],
  "fractional_positions": [[0.000, 0.000, 0.000], [0.003, 0.999, 0.499], [0.254, 0.170, 0.744], [0.752, 0.663, 0.497], [0.241, 0.180, 0.240], [0.264, 0.652, 0.502], [0.265, 0.653, 0.002], [0.499, 0.833, 0.242], [0.505, 0.832, 0.744], [0.742, 0.653, 0.000], [0.765, 0.181, 0.239], [0.765, 0.181, 0.739], [0.004, 0.559, 0.231], [0.007, 0.558, 0.733], [0.504, 0.275, 0.010], [0.507, 0.276, 0.507], [0.008, 0.326, 0.469], [0.499, 0.509, 0.268], [0.508, 0.513, 0.771], [0.999, 0.329, 0.973], [0.005, 0.865, 0.252], [0.497, 0.964, 0.485], [0.505, 0.960, 0.988], [0.997, 0.861, 0.754], [0.001, 0.330, 0.314], [0.002, 0.498, 0.020], [0.002, 0.799, 0.137], [0.004, 0.014, 0.260], [0.005, 0.798, 0.639], [0.006, 0.775, 0.861], [0.008, 0.779, 0.359], [0.018, 0.492, 0.520], [0.188, 0.237, 0.019], [0.193, 0.230, 0.515], [0.319, 0.603, 0.214], [0.322, 0.603, 0.719], [0.480, 0.819, 0.463], [0.489, 0.501, 0.423], [0.501, 0.503, 0.927], [0.502, 0.340, 0.219], [0.503, 0.013, 0.108], [0.504, 0.814, 0.968], [0.505, 0.015, 0.606], [0.508, 0.055, 0.887], [0.508, 0.061, 0.385], [0.518, 0.345, 0.719], [0.686, 0.603, 0.223], [0.690, 0.611, 0.727], [0.817, 0.237, 0.028], [0.821, 0.238, 0.523], [0.980, 0.010, 0.763], [0.989, 0.332, 0.817]]
}

=====

2.
{
  "formula": "Na5LiMn2P2C2O14",
  "functional": "PBE with a Hubbard U",
  "state": "relaxed",
  "crystal_system": "triclinic",
  "sg": "P-1 (2)",
  "formation_enthalpy_0k_ev_per_atom": -2.3685,
  "e_above_lowest_polymorph_mev_per_atom": 5,
  "magnetic_moment_mub_per_fu": 10.00,
  "lattice": [[6.767, 0.000, 0.000], [-0.100, 8.983, 0.000], [-0.062, -0.007, 10.375]],
  "species": ["Na", "Na", "Na", "Na", "Na", "Na", "Na", "Na", "Na", "Na", "Li", "Li", "Mn", "Mn", "Mn", "Mn", "P", "P", "P", "P", "C", "C", "C", "C", "O", "O", "O", "O", "O", "O", "O", "O", "O", "O", "O", "O", "O", "O", "O", "O", "O", "O", "O", "O", "O", "O", "O", "O", "O", "O", "O", "O"],
'''

The Personal Data that is collected through video recordings and/or photographs within the Talokan experiences, will be kept with your authorization in order to share the experience and publicize the programs; the Personal Data obtained through records, logs or access forms to the facilities, will be kept for a maximum period of 6 calendar months. Once the purpose of the registration is concluded, they will be discarded in order to avoid improper treatment of them, based on article 11, second paragraph of the Federal Law on Protection of Personal Data Held by Private Parties.

II. “ARCO” RIGHTS AND REVOCATION OF CONSENT: You may exercise your ARCO rights (Access, Rectification, Cancellation and Opposition) contained in the Federal Law on Protection of Personal Data Held by Private Parties, its Regulations and the Guidelines of the Privacy Notice, by request to exercise the ARCO Rights and must send it scanned to the email:, under the assumptions established in article 34 of the Data Law, you can deny access to personal data, or to make the rectification or cancellation or to grant the opposition to the treatment of these. Likewise, under the assumptions established in article 26 of the Data Law, Talokan will not be obliged to cancel your personal data. Talokan will respond to said request within a period not exceeding 20 days by the same means by which you made your request, by means of simple copies or electronically, as the case may be. In the event that your request is answered affirmatively or appropriately, the requested changes will be made within a maximum period of 15 business days. In the event that you request access to your personal data, the person in charge will inform you by means of the email in which we communicate our response to your request, the means by which you will be given access to your information, if appropriate. Talokan may extend the terms referred to in this paragraph, only once, for a period equal to the original, which will be informed. The revocation and exercise of the ARCO Rights will be free, and you must cover only the justified shipping costs, or the cost of reproduction in copies or other formats established in your request. Likewise, we inform you that you have the right to go before the Federal Institute of Access to Information and Data Protection in case you consider that your right to the protection of Personal Data has been violated. For more information we invite you to visit

IIII. TRANSFER OF DATA: There will be times when we need to transfer your personal data in a limited way even outside of Mexico to specialists who help us improve experiences or as a means of verifying our beneficiaries and social activities. In such circumstances, Talokan will take reasonable steps to ensure that your personal information is adequately protected. These measures generally include conducting data security reviews of recipients and entering into contracts with such recipients to ensure that they employ the same or similar administrative and technical measures as Talokan, so that your data is adequately protected. . For reasons of security, operation and service, the data may also be shared with local or federal authorities that require it only under court order.

IV. MODIFICATIONS TO THE PRIVACY NOTICE: This privacy notice may be modified, changed or updated due to new legal requirements, our own needs for the services we offer; of our privacy practices or for other reasons. Therefore, we ask you to review this notice regularly on this page ( so that you are aware of the changes and their implications. Additionally, we promise to keep you informed about the changes that this privacy notice may undergo, through a notice to the last email you have provided us.

I agree and give my consent for the treatment of the data provided.